
Sketches in the News

 Drawn Testimony: My Four Decades as a Courtroom Sketch Artist

By Jane Rosenberg

Hanover Square Press

254 pp


If you’re a news junkie like me, you have probably seen Jane Rosenberg’s work and not given a second thought to the person behind it. But after reading her book, I would bet you’ll pay attention

every time the work of a courtroom sketch artist appears on the screen or in your newspaper. She’s documented some of the biggest trials of the past 40 years. Among her subjects have been Donald Trump, Harvey Weinstein, Bill Cosby, Bernie Madoff and El Chapo. One of her drawings of Trump became a New Yorker Cover. 

In this book she tells how she became a courtroom artist and what the job entails. If you’re an artist (as several of my friends are), you’ll appreciate the details on how she quickly brings together a sketch and what she must wrestle with to do it. She has learned that when she fails — and that’s not the right word — she can become the story. 

One of her most famous “failures” was of a group of lawyers and others around a table in court. One of those others was Tom Brady, the famous quarterback of the New England Patriots. She didn’t even know who Brady was and he was not the focus of the drawing. She reveals that he was difficult to draw, thanks to a rather chiseled visage, and the result was something akin to Frankenstein’s monster. 

The pushback was tremendous and Rosenberg became the story. From then on, she practiced drawing his face because she knew she would get other opportunities. 

The book moves along on many threads. There is the story of the sketch artist and how she goes about her work setting up in court, the story of the trials and her thoughts on the same, and how she struggles to get it right. Fortunately, many of her subjects are not like Tom Brady. She’s thankful for Bernie Madoff and his flowing mane, which is easy to render. El Chapo, on the other hand, shaved his moustache, “the only thing that really qualified as an identifying feature.” 

Rosenberg is an artist with words as well and her descriptions make the book sing. She says of El Chapo: “The kingpin sat, like a retiree idling on the front porch, as the lurid tale of his bloody reign was told.”

I would like cameras in the courtroom but lacking them I’ve always been grateful for the sketch artist. Even if courts eventually allow cameras, the sketch artist will still be welcome. 





Review: Going To Trindad

The author of Going To Trinidad says in his preface that he grew up in “an era when most people believed gender was a binary thing.” I’m a little more than 10 years older than the author and I grew up believing the same thing so I bought this book in the hope that I would learn something about transgender people. 

I also bought the book because the author, Martin J. Smith, is a former student and I am pleased to report that I have done no harm, although I could have said that many times over the years after reading some of his novels and another nonfiction book,

The Wild Duck Chase: Inside the Strange and Wonderful World of the Federal Duck Stamp Contest. Marty always tells a compelling story. 

In Going To Trinidad, which has the subtitle A Doctor, a Colorado Town, and Stories from an Unlikely Gender Crossroads, Smith focuses on two men who struggled with gender identity and ultimately were treated by Dr. Stanley H. Biber, once a surgeon in a MASH unit in the Korean War where he learned how to replace missing body parts, among other things. Trinidad, Colorado, is the town where Biber practiced and “going to Trinidad” means getting transition surgery. Both patients provided contemporary reports on their lives and Smith has done a good job of using that information to complete the story. 

To say that the story is complicated would be an understatement and to tell you why would be a spoiler. I cannot even say that the book is a comprehensive examination of the transgender condition. Smith never set out to write such a book, as the subtitle tells us. Even as Smith began his research, he had to endure challenges from the transgender community, and Smith gives space in an afterword to a woman doctor, once a man, who says his two subjects are atypical of the people who have gender transition surgery. He wrote about that in The Hill and you can find the essay here

If I have any real criticism of the book it would be that his main characters transitioned physically from male to female. Smith mentions, but does not include in any detail, someone who transitioned from female to male. Of course, that could always be another book.


All the news that's missed in print


By R Thomas Berner

I’m a news junkie. I subscribe to at least six newspapers and receive free daily newsletters from others. Certainly, that’s overkill for national and international news but when it comes to local and state news, I can’t get enough from a single source. That’s how bad things are in the local news business—and it’s not for want of dedicated reporters trying despite the corporate owner. 

I belong to the school of journalism that mandates coverage of local government

and schools. You write a story about the agenda of the next council meeting; you write a story about what happened at the meeting; you follow up on some things that were discussed but not voted on at the meeting. Plenty of local stories throughout the week and maybe an in-depth one for Sunday. In the sports section, you make room for all of the high school sports, even if it’s just a couple of paragraphs called in by the team manager. 

Short staffed as it is, the CDT can no longer do that; in fact, hasn’t done it for years now as the staff shrinks and the institutional memory fades. Local coverage is so thin that some people I know in Bellefonte subscribe to the Lock Haven Express, which routinely covers Bellefonte council and school board and makes sure the outcome of Friday night sports events are reported in Saturday’s printed edition. 

In addition to the CDT and the Express, I also read the Centre County Gazette and I follow the editor of statecollege.com on Twitter and recently signed up for his daily newsletter as well as Penn State’s. And the letters in the CDT are a mix of opinion and fact not seen elsewhere. Is it any wonder I spend two hours every morning just checking my news providers?

The dearth of state government stories no doubt pleases our elected officials for it keeps us in the dark about their shenanigans. If it weren’t for legal advertising, we might not know there are efforts afoot to change the state’s constitution that would set us back a century. If you want to stay up to date on what’s happening in Harrisburg, I recommend a $9 subscription to Spotlight PA. The news service provides in-depth stories you don’t see anywhere else. I also get Pennsylvania Capital-Star, which accepts donations, and PoliticsPA, a news aggregator looking for a sponsor. 

What I really want, though, is a local newspaper well stocked with local and state government news. A print newspaper is probably out of the question. You need a press and a circulation department. Both are expensive. 

But we could have a worthy electronic newspaper. I envision a subscription-based newspaper that publishes seven days a week and with deadlines late enough to carry stories on evening meetings and sporting events. I envision in-depth and investigative stories. Let no stone go unturned. 

I’ve been in touch with a couple of my former students who are now experts in the field of online newspapers. They’ve offered me lots of good advice. The only thing they haven’t offered is money. 

I used to joke that if I hit the lottery, I’d buy the CDT. But I now realize the only thing I’d really be buying is a somewhat empty building at Dale Summit. The corporation that owns the CDT long ago dismantled and sold its press. So I’m thinking we start fresh and the least expensive way is electronic. 

My former students have advised me that my business plan is ambitious and might not attract a sugar daddy. But I want a thorough newspaper ready online every morning and that requires a cadre of reporters and editors (and I’d start by hiring the entire CDT newsroom) and subscribers. 

I mentioned a sugar daddy. What I really have in mind is a non-profit organization. Beyond organizing a newsroom, I am out of my element. But somewhere somebody is listening. Call me. 


R Thomas Berner is a professor emeritus of journalism and American studies at Penn State, a former State College Borough council member, and a former city editor of the Centre Daily Times.  

# Calculated crystals, as found in the file
____________
1.
LaCdSe: calculated X-ray powder pattern (λ = 1.5418 Å (Cu Kα)), based on DFT lattice parameters and positions (GGA-PBE).
Intensities are scaled so that the largest is 100.

The 8 most intense peaks (10° ≤ 2θ ≤ 80°), low angle first:
2θ 20.8, d = 4.278 Å, I = 22; 2θ 25.2, d = 3.539 Å, I = 18; 2θ 27.5, d = 3.245 Å, I = 22; 2θ 33.0, d = 2.718 Å, I = 67; 2θ 35.8, d = 2.509 Å, I = 100; 2θ 49.5, d = 1.842 Å, I = 54; 2θ 62.5, d = 1.486 Å, I = 20; 2θ 64.3, d = 1.449 Å, I = 17

Cell and atoms:
a b c (Å): 8.629 8.629 8.629
angles (deg): 33.81 33.81 33.81
Element x y z (fractional)
1 La 0.087 0.087 0.087
2 La 0.913 0.913 0.913
3 Cd 0.333 0.333 0.333
4 Cd 0.667 0.667 0.667
5 Se 0.214 0.214 0.214
6 Se 0.786 0.786 0.786

***

2.
La2TmCdSe5: calculated X-ray powder pattern (λ = 1.5418 Å (Cu Kα)), based on DFT lattice parameters and positions (GGA-PBE).
Intensities are scaled so that the largest is 100.

The 8 most intense peaks (10° ≤ 2θ ≤ 80°), low angle first:
2θ 23.1, d = 3.848 Å, I = 21; 2θ 26.1, d = 3.408 Å, I = 34; 2θ 30.5, d = 2.931 Å, I = 100; 2θ 30.9, d = 2.898 Å, I = 59; 2θ 36.0, d = 2.491 Å, I = 41; 2θ 39.4, d = 2.284 Å, I = 21; 2θ 43.7, d = 2.073 Å, I = 42; 2θ 54.4, d = 1.686 Å, I = 23

Cell and atoms:
a b c (Å): 9.165 9.165 12.790
angles (deg): 90.00 90.00 153.86
Element x y z (fractional)
1 La 0.115 0.885 0.500
2 La 0.134 0.866 0.125
3 La 0.866 0.134 0.625
4 La 0.885 0.115 0.000
5 Tm 0.203 0.797 0.828
6 Tm 0.797 0.203 0.328
7 Cd 0.456 0.544 0.270
8 Cd 0.544 0.456 0.770
9 Se 0.050 0.950 0.890
10 Se 0.287 0.713 0.481
11 Se 0.309 0.691 0.173
12 Se 0.360 0.640 0.817
13 Se 0.494 0.506 0.582
14 Se 0.506 0.494 0.082
15 Se 0.640 0.360 0.317
16 Se 0.691 0.309 0.673
17 Se 0.713 0.287 0.981
18 Se 0.950 0.050 0.390

***

3.
La5Sm4Cd: calculated X-ray powder pattern (λ = 1.5418 Å (Cu Kα)), based on DFT lattice parameters and positions (GGA-PBE).
Intensities are scaled so that the largest is 100.

The 8 most intense peaks (10° ≤ 2θ ≤ 80°), low angle first:
2θ 30.0, d = 2.983 Å, I = 100; 2θ 33.9, d = 2.648 Å, I = 39; 2θ 36.4, d = 2.468 Å, I = 12; 2θ 48.6, d = 1.872 Å, I = 14; 2θ 50.6, d = 1.805 Å, I = 19; 2θ 58.2, d = 1.586 Å, I = 30; 2θ 61.6, d = 1.506 Å, I = 7; 2θ 62.2, d = 1.492 Å, I = 10

Cell and atoms:
a b c (Å): 3.744 3.744 24.682
angles (deg): 90.00 90.00 90.00
Element x y z (fractional)
1 La 0.000 0.000 0.000
2 La 0.000 0.000 0.207
3 La 0.000 0.000 0.413
4 La 0.000 0.000 0.587
5 La 0.000 0.000 0.793
6 Sm 0.500 0.500 0.103
7 Sm 0.500 0.500 0.309
8 Sm 0.500 0.500 0.691
9 Sm 0.500 0.500 0.897
10 Cd 0.500 0.500 0.500

***

4.
LaSmCd17: calculated X-ray powder pattern (λ = 1.5418 Å (Cu Kα)), based on DFT lattice parameters and positions (GGA-PBE).
Intensities are scaled so that the largest is 100.

The 8 most intense peaks (10° ≤ 2θ ≤ 80°), low angle first:
____________


The Woman Who Smashed Codes. A True Story of Love, Spies, and the Unlikely Heroine Who Outwitted America’s Enemies. Jason Fagone. 444pp. Dey St.
I’ve always liked something Norman Mailer said about journalists and why he wasn’t one of them even though he had received a Pulitzer Prize for his book, Armies of the Night. In a subsequent book, he said of journalists: "They had first of all to have enormous curiosity, and therefore be unable to rest until they found out the secret behind even the smallest event."
Jason Fagone is a curious journalist and because of that, he has given us The Woman Who Smashed Codes, the story of Elizabeth Smith Friedman who with her husband spent most of their adult lives cracking codes using “pencil, papers and their brains” (to quote from the book) long before computers existed. Fagone explains that he first learned about the Friedmans in 2014 and decided to do research on Elizabeth, who seemed to be an afterthought in any of the stories written about her husband, William, in effect, the man who gave us the NSA.
Fortunately for Fagone, there existed a rich collection of his and hers personal papers, hers, though, mostly ignored. Fagone found love letters, letters to her children, handwritten diaries, a partial autobiography. The hunt was on!
From those boxes he had a good idea what Elizabeth was doing until 1940 when the records trail off. Then he wanted to know what she was doing during World War II. It took him two years to find out that during the war Elizabeth decoded messages exchanged by Nazi spies at a time when few people knew how to crack the codes. Pencil, paper and brains, not computers.

But that’s all I’m going to tell you. You have to read the book to learn about an almost forgotten American heroine. When you do you’ll also get a good overview of how codes were created and used, not just by spies but by organized crime. And you’ll read the story of the woman who cracked many of those codes and helped fight crime and win the war. This is a book worth reading.


An Enterprising Reporter

(Remarks by me at a memorial service for Terry Dalton on Feb. 19.)

Terry Dalton and I worked for the same newspaper in Centre County in the early 1970s and became fast friends. His job was to cover county and local government in Bellefonte, Pennsylvania. That meant writing about anything from a boring planning commission meeting to a murder trial.

A fellow reporter recalls “Terry with phone propped between chin and shoulder typing notes as he interviewed people (some unwillingly). His desk was always heaped with papers, notes, and what-have-you--debris from news gathering and neglect. He was always intent and serious about his job, with proper measures of cynicism/realism and good humor. He worked long and hard at his craft and filled the CDT with a lot of fact and truth.  I remember he got a fair amount of ribbing about his stories being too long, something that carried over to his annual Christmas letters.”

Kathy, who as the editor of the letters shortened them every year, laughingly takes exception to that remark. But I digress.

Terry loved his job. No story was beneath him. And what made him even better was his enterprising attitude. He not only covered what he was assigned, but he came up with stories on his own. He was a self-starter.

An activist from back home remembers Terry’s in-depth and extensive coverage of an old mill about to be torn down resulted in a change of attitude in the community and on town council and saved the mill, which became the home of a very good restaurant and brewpub.

When he learned that a woman in the office where he worked had become an umpire in a male softball league, he turned that into a feature story.

When a national report revealed that female anchors on television news shows were required to be made up more heavily made up than males, he interviewed a woman who had been born in our county and was at the time a news anchor in Baltimore. He found a local angle to a national story, something he did many times.

When a local man was killed in a mining accident, he pursued the story and learned that safety in the mine was questionable and support for the widow was negligible. We had to run that story through our attorney—and he changed not a word.

Terry was dogged in pursuit of a story.

I remember when Dan Rather of CBS News spoke at Penn State. Terry covered Rather’s speech in an auditorium then walked with Rather to another venue for a news conference. Most reporters would have just gone to the venue. Terry attached himself to Rather—it looked to me as though they were joined at the hip—and interviewed him on the way, even correcting Rather when he was fuzzy on some facts. Terry had done his homework.

He loved politics regardless of party. He was “the consummate apolitical political junkie.” He had an understated aggressive style—I know that’s an oxymoron--backed up by facts, which meant the person he was interviewing couldn’t lie about something. There were no alternative facts in a Terry Dalton story.

He interviewed a lot of national and state political figures. When you go to the reception in McDaniel Lounge later, check out the photos of Terry interviewing various politicians. My favorite is Terry interviewing Jerry Brown. Talk about up close and personal. You’ll see.

Also in those photos is John Anderson, who ran for president as a third-party candidate in 1980. For Terry, it was a great story. I’m sure he would have loved covering Bernie Sanders, whom he had met when he lived in Vermont and Sanders was the mayor of Burlington.

One of the criticisms of the press is that it covers elections like horse races, even when the ballots are being counted and the results are already determined but not yet public and are made public after they are logged in and counted. Sensitive to that, Terry turned the criticism on its head and covered one election from the point of view of how the candidate was reacting to the returns as they slowly arrived at his campaign headquarters and the outcome kept changing. It was a horse race for the candidate even though the polls had closed.

Kathy told me the other day about a self-deprecating story Terry used to tell, that he had learned in ROTC how to take a rifle apart but he never could reassemble it. Maybe not, but he certainly knew how to assemble a set of facts into a good story.
He was a very good deductive thinker. When he was growing up in New Jersey, the family TV went on the blink. This was in the day of vacuum tubes and expensive repair visits. Instead of calling someone, Terry turned on the TV, let the tubes warm up and touched each one—carefully, of course. When he found the tube that was cold, he went to the TV store and bought a new one and replaced the cold one. Problem solved. Repair bill avoided.

Even when he was fighting Alzheimer’s, he continued to be a deductive thinker. About two years ago we had lunch with the family, and Terry and I were reminiscing about people we had worked with 40 years ago. Suddenly, he was stuck for a name. He started going through her attributes: Live wire. Journ student. Italian. And then he said her name. As it was, she wasn’t Italian but her name did end in a vowel. He was not to be denied.

Let me share some comments that others have posted on Facebook or shared with me via email.

Brian Weakland: I'll remember Terry for his passion and joy.  He enjoyed life and enriched those around him.

Robert L. Frick A good man who took the time to help me during my CDT internship, when it wasn't his job. You never forget mentors like that.

Diana Griffith … Terry was my first mentor from the time I was in high school. He was one of my instructors in the Penn State J-school and took the time to write a note of praise while I was writing for The Daily Collegian (student newspaper at Penn State). ... He was a wonderful person.

Bill Wallace … Terry was not much older than the rest of us, but he was always the grown-up in the room. He led by example, although I doubt he realized it. Most of us learned to be better journalists by watching him work, and reading his work. He was a respected colleague and a good man.

Rosa: … As a Collegian reporter, I had covered (a local politician) at the same time Terry covered him for the CDT. I learned so much from asking questions while sitting beside a great reporter. Before I left for Chicago I gave Terry an illustrated copy of Walt Whitman's "Leaves of Grass" ... I told Terry that, like Whitman, he was a scribe of democracy.

(I love that description.) a scribe of democracy

David Morris … Terry and I both arrived in Harrisburg for our respective papers at the same time in 1983. We bonded over baseball and politics. Fittingly, the last time I saw him was a chance meeting in Cooperstown.

Speaking of Cooperstown, Terry and Kathy were married there in 1981. For those of you who don’t follow Terry’s favorite sport, Cooperstown is the home of the National Baseball Hall of Fame. But, wait, it gets better. Ever the sports junkie, on their honeymoon in the Bahamas, they met and interviewed Muhammad Ali who was there training for the final fight of his career


Let me close by borrowing a couple of lines from W.H. Auden.

Earth, receive an honoured guest:
Terrence Dalton is laid to rest.
Let the Irish vessel lie
Emptied of its poetry.

And so, Terry, from all of your friends, farewell and thank you for being you.